[Job]
Quote the listing underneath without altering anything.
[Data]
Entry 1:
This entry pairs a crystal structure of Na2LiCoBr6 with its simulated X-ray diffraction stick pattern. Radiation: Cu Kα. Structure: a crystal structure in OQMD, relaxed with GGA-PBE.

```
10
Lattice="0.0000 5.0541 5.0541 5.0541 0.0000 5.0541 5.0541 5.0541 0.0000" Properties=species:S:1:pos:R:3 pbc="T T T"
Na 2.5270 2.5270 2.5270
Na 7.5811 7.5811 7.5811
Li 0.0000 0.0000 0.0000
Co 5.0541 5.0541 5.0541
Br 5.0541 5.0541 2.6391
Br 5.0541 2.6391 5.0541
Br 7.4691 5.0541 5.0541
Br 2.6391 5.0541 5.0541
Br 5.0541 7.4691 5.0541
Br 5.0541 5.0541 7.4691
```

Largest 10 diffraction maxima, by angle, 10° ≤ 2θ ≤ 90°:
| 2theta | I_rel |
| --- | --- |
| 15.18 | 21 |
| 17.55 | 47 |
| 30.64 | 100 |
| 35.52 | 82 |
| 39.88 | 21 |
| 51.12 | 55 |
| 60.78 | 38 |
| 63.79 | 18 |
| 83.35 | 15 |
| 86.02 | 23 |

---

Entry 2:
This entry pairs a crystal structure of Li4ZnNiGe2 with its simulated X-ray diffraction stick pattern. Radiation: Cu Kα. Structure: a crystal structure in OQMD, relaxed with GGA-PBE.

```
8
Lattice="4.1953 0.0000 0.0000 0.0000 4.1953 0.0000 0.0000 0.0000 6.0413" Properties=species:S:1:pos:R:3 pbc="T T T"
Li 0.0000 0.0000 0.0000
Li 0.0000 2.0976 1.4573
Li 2.0976 0.0000 4.5840
Li 2.0976 2.0976 3.0206
Zn 0.0000 0.0000 3.0206
Ni 2.0976 2.0976 0.0000
Ge 0.0000 2.0976 4.6617
Ge 2.0976 0.0000 1.3796
```

Largest 10 diffraction maxima, by angle, 10° ≤ 2θ ≤ 90°:
| 2theta | I_rel |
| --- | --- |
| 25.86 | 100 |
| 42.72 | 66 |
| 43.13 | 33 |
| 50.26 | 14 |
| 50.97 | 30 |
| 62.63 | 11 |
| 68.33 | 11 |
| 77.95 | 9 |
| 78.79 | 20 |
| 84.87 | 7 |

---

Entry 3:
This entry pairs a crystal structure of ZnNi2S4 with its simulated X-ray diffraction stick pattern. Radiation: Cu Kα. Structure: a crystal structure in OQMD, relaxed with GGA-PBE.

```
14
Lattice="-3.4474 3.4474 4.8710 3.4474 -3.4474 4.8710 3.4474 3.4474 -4.8710" Properties=species:S:1:pos:R:3 pbc="T T T"
Zn 3.4474 1.7237 1.2177
Zn 0.0000 1.7237 3.6532
Ni 0.0000 0.0000 0.0000
Ni 1.7237 1.7237 -2.4355
Ni 1.7237 -1.7237 2.4355
Ni 0.0000 3.4474 0.0000
S 3.4474 3.2564 -2.5689
S 1.5327 1.7237 -0.1334
S 1.9146 -1.7237 4.7375
S 3.4474 -0.1910 2.5689
S 0.0000 3.6383 2.3021
S 1.5327 5.1710 0.1334
S 1.9146 1.7237 5.0044
S 0.0000 0.1910 7.4398
```

Largest 10 diffraction maxima, by angle, 10° ≤ 2θ ≤ 90°:
| 2theta | I_rel |
| --- | --- |
| 15.75 | 16 |
| 25.85 | 36 |
| 30.41 | 100 |
| 36.88 | 40 |
| 45.59 | 12 |
| 48.53 | 54 |
| 53.15 | 79 |
| 62.48 | 12 |
| 74.82 | 17 |
| 86.46 | 13 |

---

Entry 4:
This entry pairs a crystal structure of Li2Zr2CoSn2Pt with its simulated X-ray diffraction stick pattern. Radiation: Cu Kα. Structure: a crystal structure in OQMD, relaxed with GGA-PBE.

```
8
Lattice="4.5504 0.0000 0.0000 0.0000 4.5504 0.0000 0.0000 0.0000 6.4753" Properties=species:S:1:pos:R:3 pbc="T T T"
Li 0.0000 0.0000 0.0000
Li 2.2752 2.2752 3.2377
Zr 0.0000 2.2752 1.5396
Zr 2.2752 0.0000 4.9357
Co 2.2752 2.2752 0.0000
Sn 0.0000 2.2752 4.9436
Sn 2.2752 0.0000 1.5317
Pt 0.0000 0.0000 3.2377
```

Largest 10 diffraction maxima, by angle, 10° ≤ 2θ ≤ 90°:
| 2theta | I_rel |
| --- | --- |
| 19.51 | 10 |
| 23.90 | 48 |
| 31.04 | 11 |
| 39.48 | 100 |
| 39.61 | 50 |
| 46.79 | 16 |
| 57.26 | 17 |
| 71.53 | 17 |
| 71.79 | 34 |
| 85.00 | 11 |

---

Entry 5:
This entry pairs a crystal structure of CdPd9 with its simulated X-ray diffraction stick pattern. Radiation: Cu Kα. Structure: a crystal structure in OQMD, relaxed with GGA-PBE.

```
20
Lattice="2.8528 0.0000 0.0000 0.0000 2.8528 0.0000 0.0000 0.0000 50.5447" Properties=species:S:1:pos:R:3 pbc="T T T"
Cd 0.7132 0.7132 7.0683
Cd 2.1396 2.1396 43.4764
Pd 0.7132 0.7132 11.0400
Pd 0.7132 0.7132 14.8737
Pd 0.7132 0.7132 18.6649
Pd 0.7132 0.7132 22.4433
Pd 0.7132 0.7132 26.2143
Pd 0.7132 0.7132 29.9876
Pd 0.7132 0.7132 33.7772
Pd 0.7132 0.7132 37.5749
Pd 0.7132 0.7132 41.4845
Pd 2.1396 2.1396 9.0602
Pd 2.1396 2.1396 12.9698
Pd 2.1396 2.1396 16.7675
Pd 2.1396 2.1396 20.5571
Pd 2.1396 2.1396 24.3304
Pd 2.1396 2.1396 28.1014
Pd 2.1396 2.1396 31.8798
[Solution]
Entry 1:
This entry pairs a crystal structure of Na2LiCoBr6 with its simulated X-ray diffraction stick pattern. Radiation: Cu Kα. Structure: a crystal structure in OQMD, relaxed with GGA-PBE.

```
10
Lattice="0.0000 5.0541 5.0541 5.0541 0.0000 5.0541 5.0541 5.0541 0.0000" Properties=species:S:1:pos:R:3 pbc="T T T"
Na 2.5270 2.5270 2.5270
Na 7.5811 7.5811 7.5811
Li 0.0000 0.0000 0.0000
Co 5.0541 5.0541 5.0541
Br 5.0541 5.0541 2.6391
Br 5.0541 2.6391 5.0541
Br 7.4691 5.0541 5.0541
Br 2.6391 5.0541 5.0541
Br 5.0541 7.4691 5.0541
Br 5.0541 5.0541 7.4691
```

Largest 10 diffraction maxima, by angle, 10° ≤ 2θ ≤ 90°:
| 2theta | I_rel |
| --- | --- |
| 15.18 | 21 |
| 17.55 | 47 |
| 30.64 | 100 |
| 35.52 | 82 |
| 39.88 | 21 |
| 51.12 | 55 |
| 60.78 | 38 |
| 63.79 | 18 |
| 83.35 | 15 |
| 86.02 | 23 |

---

Entry 2:
This entry pairs a crystal structure of Li4ZnNiGe2 with its simulated X-ray diffraction stick pattern. Radiation: Cu Kα. Structure: a crystal structure in OQMD, relaxed with GGA-PBE.

```
8
Lattice="4.1953 0.0000 0.0000 0.0000 4.1953 0.0000 0.0000 0.0000 6.0413" Properties=species:S:1:pos:R:3 pbc="T T T"
Li 0.0000 0.0000 0.0000
Li 0.0000 2.0976 1.4573
Li 2.0976 0.0000 4.5840
Li 2.0976 2.0976 3.0206
Zn 0.0000 0.0000 3.0206
Ni 2.0976 2.0976 0.0000
Ge 0.0000 2.0976 4.6617
Ge 2.0976 0.0000 1.3796
```

Largest 10 diffraction maxima, by angle, 10° ≤ 2θ ≤ 90°:
| 2theta | I_rel |
| --- | --- |
| 25.86 | 100 |
| 42.72 | 66 |
| 43.13 | 33 |
| 50.26 | 14 |
| 50.97 | 30 |
| 62.63 | 11 |
| 68.33 | 11 |
| 77.95 | 9 |
| 78.79 | 20 |
| 84.87 | 7 |

---

Entry 3:
This entry pairs a crystal structure of ZnNi2S4 with its simulated X-ray diffraction stick pattern. Radiation: Cu Kα. Structure: a crystal structure in OQMD, relaxed with GGA-PBE.

```
14
Lattice="-3.4474 3.4474 4.8710 3.4474 -3.4474 4.8710 3.4474 3.4474 -4.8710" Properties=species:S:1:pos:R:3 pbc="T T T"
Zn 3.4474 1.7237 1.2177
Zn 0.0000 1.7237 3.6532
Ni 0.0000 0.0000 0.0000
Ni 1.7237 1.7237 -2.4355
Ni 1.7237 -1.7237 2.4355
Ni 0.0000 3.4474 0.0000
S 3.4474 3.2564 -2.5689
S 1.5327 1.7237 -0.1334
S 1.9146 -1.7237 4.7375
S 3.4474 -0.1910 2.5689
S 0.0000 3.6383 2.3021
S 1.5327 5.1710 0.1334
S 1.9146 1.7237 5.0044
S 0.0000 0.1910 7.4398
```

Largest 10 diffraction maxima, by angle, 10° ≤ 2θ ≤ 90°:
| 2theta | I_rel |
| --- | --- |
| 15.75 | 16 |
| 25.85 | 36 |
| 30.41 | 100 |
| 36.88 | 40 |
| 45.59 | 12 |
| 48.53 | 54 |
| 53.15 | 79 |
| 62.48 | 12 |
| 74.82 | 17 |
| 86.46 | 13 |

---

Entry 4:
This entry pairs a crystal structure of Li2Zr2CoSn2Pt with its simulated X-ray diffraction stick pattern. Radiation: Cu Kα. Structure: a crystal structure in OQMD, relaxed with GGA-PBE.

```
8
Lattice="4.5504 0.0000 0.0000 0.0000 4.5504 0.0000 0.0000 0.0000 6.4753" Properties=species:S:1:pos:R:3 pbc="T T T"
Li 0.0000 0.0000 0.0000
Li 2.2752 2.2752 3.2377
Zr 0.0000 2.2752 1.5396
Zr 2.2752 0.0000 4.9357
Co 2.2752 2.2752 0.0000
Sn 0.0000 2.2752 4.9436
Sn 2.2752 0.0000 1.5317
Pt 0.0000 0.0000 3.2377
```

Largest 10 diffraction maxima, by angle, 10° ≤ 2θ ≤ 90°:
| 2theta | I_rel |
| --- | --- |
| 19.51 | 10 |
| 23.90 | 48 |
| 31.04 | 11 |
| 39.48 | 100 |
| 39.61 | 50 |
| 46.79 | 16 |
| 57.26 | 17 |
| 71.53 | 17 |
| 71.79 | 34 |
| 85.00 | 11 |

---

Entry 5:
This entry pairs a crystal structure of CdPd9 with its simulated X-ray diffraction stick pattern. Radiation: Cu Kα. Structure: a crystal structure in OQMD, relaxed with GGA-PBE.

```
20
Lattice="2.8528 0.0000 0.0000 0.0000 2.8528 0.0000 0.0000 0.0000 50.5447" Properties=species:S:1:pos:R:3 pbc="T T T"
Cd 0.7132 0.7132 7.0683
Cd 2.1396 2.1396 43.4764
Pd 0.7132 0.7132 11.0400
Pd 0.7132 0.7132 14.8737
Pd 0.7132 0.7132 18.6649
Pd 0.7132 0.7132 22.4433
Pd 0.7132 0.7132 26.2143
Pd 0.7132 0.7132 29.9876
Pd 0.7132 0.7132 33.7772
Pd 0.7132 0.7132 37.5749
Pd 0.7132 0.7132 41.4845
Pd 2.1396 2.1396 9.0602
Pd 2.1396 2.1396 12.9698
Pd 2.1396 2.1396 16.7675
Pd 2.1396 2.1396 20.5571
Pd 2.1396 2.1396 24.3304
Pd 2.1396 2.1396 28.1014
Pd 2.1396 2.1396 31.8798